## Excerpt
********
No. 1
Here is a geometry-optimized HoEr2Au structure from Alexandria. Energies are from GGA-PBE.

Calculated values
- final energy (eV/atom) = -4.658
- total magnetic moment (μB per cell) = 0.00
- energy above the lowest structure with this stoichiometry (eV per atom) = 0.0460

a b c (Å): 4.874 11.744 7.804
angles (deg): 90.00 90.00 90.00
Space group Cmcm (No. 63)
Inequivalent atoms, fractional coordinates:
Ho  0.000  0.043  0.250 (multiplicity 4)
Er  0.000  0.356  0.037 (multiplicity 8)
Au  0.000  0.205  0.750 (multiplicity 4)



No. 2
Here is a geometry-optimized SrPm2Tm structure from Alexandria. Energies are from GGA-PBE.

Calculated values
- final energy (eV/atom) = -3.805
- total magnetic moment (μB per cell) = 0.00
- energy above the lowest structure with this stoichiometry (eV per atom) = 0.0000

a b c (Å): 3.7047 3.7047 36.8874
angles (deg): 90.00 90.00 120.00
Space group R3m (No. 160, hexagonal axes)
Inequivalent atoms, fractional coordinates:
Sr  0.0000  0.0000  0.0000 (multiplicity 3)
Pm  0.0000  0.0000  0.5761 (multiplicity 3)
Pm  0.0000  0.0000  0.7572 (multiplicity 3)
Tm  0.0000  0.0000  0.1664 (multiplicity 3)



No. 3
Here is a geometry-optimized PaMnAu structure from Alexandria. Energies are from GGA-PBE.

Calculated values
- final energy (eV/atom) = -7.235
- total magnetic moment (μB per cell) = 0.00
- energy above the lowest structure with this stoichiometry (eV per atom) = 0.2895

a b c (Å): 4.1839 4.1839 23.3006
angles (deg): 90.00 90.00 120.00
Space group R-3m (No. 166, hexagonal axes)
Inequivalent atoms, fractional coordinates:
Pa  0.0000  0.0000  0.2208 (multiplicity 6)
Mn  0.0000  0.0000  0.0934 (multiplicity 6)
Au  0.0000  0.0000  0.3636 (multiplicity 6)
********

## Work order
Now find the line earlier on that holds "geometry-optimized HoEr2Au", then write out that line and all lines after it there.

## Outcome
Here is a geometry-optimized HoEr2Au structure from Alexandria. Energies are from GGA-PBE.

Calculated values
- final energy (eV/atom) = -4.658
- total magnetic moment (μB per cell) = 0.00
- energy above the lowest structure with this stoichiometry (eV per atom) = 0.0460

a b c (Å): 4.874 11.744 7.804
angles (deg): 90.00 90.00 90.00
Space group Cmcm (No. 63)
Inequivalent atoms, fractional coordinates:
Ho  0.000  0.043  0.250 (multiplicity 4)
Er  0.000  0.356  0.037 (multiplicity 8)
Au  0.000  0.205  0.750 (multiplicity 4)



No. 2
Here is a geometry-optimized SrPm2Tm structure from Alexandria. Energies are from GGA-PBE.

Calculated values
- final energy (eV/atom) = -3.805
- total magnetic moment (μB per cell) = 0.00
- energy above the lowest structure with this stoichiometry (eV per atom) = 0.0000

a b c (Å): 3.7047 3.7047 36.8874
angles (deg): 90.00 90.00 120.00
Space group R3m (No. 160, hexagonal axes)
Inequivalent atoms, fractional coordinates:
Sr  0.0000  0.0000  0.0000 (multiplicity 3)
Pm  0.0000  0.0000  0.5761 (multiplicity 3)
Pm  0.0000  0.0000  0.7572 (multiplicity 3)
Tm  0.0000  0.0000  0.1664 (multiplicity 3)



No. 3
Here is a geometry-optimized PaMnAu structure from Alexandria. Energies are from GGA-PBE.

Calculated values
- final energy (eV/atom) = -7.235
- total magnetic moment (μB per cell) = 0.00
- energy above the lowest structure with this stoichiometry (eV per atom) = 0.2895

a b c (Å): 4.1839 4.1839 23.3006
angles (deg): 90.00 90.00 120.00
Space group R-3m (No. 166, hexagonal axes)
Inequivalent atoms, fractional coordinates:
Pa  0.0000  0.0000  0.2208 (multiplicity 6)
Mn  0.0000  0.0000  0.0934 (multiplicity 6)
Au  0.0000  0.0000  0.3636 (multiplicity 6)